Why We Can’t Find Peace (Philippians 4:4-9)

What comes to mind when you hear the word “peace”? For some, it’s a quiet evening after a long day, or perhaps a moment of solitude in nature. But let’s be honest—how often does life truly feel peaceful? More often than not, it feels like peace is just out of reach. We search for it in our relationships, our jobs, or even in small escapes (Date nights or vacations), but those moments don’t last. The truth is, we often look for peace in all the wrong places. Today, we’re going to explore Philippians 4:4-9, where Paul shows us a better way—a way to find the kind of peace that isn’t tied to circumstances and can’t be taken away. Let’s open our hearts to what God has to say.
Cultivate Joy, Not Happiness
Philippians 4:4 (ESV) — 4 Rejoice in the Lord always; again I will say, rejoice.
Have you ever noticed how easily our emotions sway with our circumstances? One moment we’re on top of the world because things are going our way—the bills are paid, the job is steady, and everyone’s getting along. But as soon as a challenge arises, joy evaporates like a puddle under the summer sun. It’s almost as if our happiness is tied to a string, and that string is being yanked around by whatever life decides to throw at us.
Paul understood this tendency. That’s why he doesn’t tell the Philippians to find joy in their circumstances. He says, “Rejoice in the Lord always; again I will say, rejoice” (Philippians 4:4). Notice the command: rejoice. Joy, according to Paul, isn’t something that just happens to us when everything is going well. It’s a discipline—a choice. But here’s the key: it’s not a choice to “just be happy” or to fake positivity. It’s a choice to find joy in the Lord.
What does it mean to rejoice in the Lord? It means we anchor our joy in something unshakable—God’s character and promises. Think about it: God’s love for us doesn’t change when our circumstances do. His faithfulness doesn’t waver when we face uncertainty. Rejoicing in the Lord is about grounding our hearts in these unchanging truths, rather than in the rollercoaster of life’s ups and downs.
Let me paint a picture. Imagine you’re in the middle of a chaotic workday. Work is piling up, requests are flooding in, and there’s that one coworker who just knows how to push your buttons. Yet, in the midst of all that noise, you pause. You take a deep breath and remind yourself: God is in control. He’s given me this day, and He’s walking with me through it. That pause isn’t just a coping mechanism—it’s an act of rejoicing in the Lord. You’re choosing to let His steady presence shape your response to the chaos.
Paul doesn’t just suggest this; he insists on it: “Again I will say, rejoice.” Why repeat himself? Because he knows we need the reminder. Life has a way of pulling our focus away from the Lord and back onto our circumstances. But joy—real joy—comes when we refuse to let life dictate our outlook and instead anchor our hearts in Christ.
So let me ask you: What’s anchoring your joy? Is it your job? Your health? Your relationships? All of those things are good gifts, but they’re not stable anchors. They shift and change. Only God’s character and promises are unchanging. If you want to know why you cannot find peace, understand what you are anchoring your joy in and change it. Start each day by reminding yourself of who God is. Write it down. Pray it back to Him. Let it frame the way you see everything else that day. Because when your joy is anchored in the Lord, it can’t be shaken by the storms of life.
Practice Gentleness in All Relationships
Philippians 4:5 (ESV) — 5 Let your reasonableness be known to everyone. The Lord is at hand;
== Inserted here: calculated crystals ==
=====
# 1
A relaxed structure of MgBPt3. Source: Alexandria, functional PBE-GGA.

abc: 5.5049 5.5049 5.5295
angles: 94.12 94.12 61.86
Sites, in units of the cell vectors:
Mg: 0.1792 0.8208 0.5000
Mg: 0.8208 0.1792 0.0000
B: 0.0475 0.5456 0.1004
B: 0.5456 0.0475 0.6004
Pt: 0.1588 0.3162 0.4195
Pt: 0.3162 0.1588 0.9195
Pt: 0.3241 0.6664 0.9799
Pt: 0.6664 0.3241 0.4799
Pt: 0.6675 0.8234 0.2629
Pt: 0.8234 0.6675 0.7629

Formation energy from the elements   -55 kJ per mole of atoms
Offset from the most stable computed form   0.014 eV per atom
Space group   Cc
E   -5.8490 eV/atom

---

# 2
A relaxed structure of MgBPt3. Source: Alexandria, functional PBE-GGA.

abc: 6.6473 4.6927 10.2753
angles: 90.00 114.71 90.00
Sites, in units of the cell vectors:
Mg: 0.1701 0.0967 0.1502
Mg: 0.1701 0.4033 0.6502
Mg: 0.8299 0.5967 0.3498
Mg: 0.8299 0.9033 0.8498
B: 0.3932 0.1764 0.4675
B: 0.3932 0.3236 0.9675
B: 0.6068 0.6764 0.0325
B: 0.6068 0.8236 0.5325
Pt: 0.0485 0.1104 0.3861
Pt: 0.0485 0.3896 0.8861
Pt: 0.3077 0.5978 0.3819
Pt: 0.3077 0.9022 0.8819
Pt: 0.4100 0.5775 0.1462
=====
But joy isn’t just something we hold onto for ourselves. When our hearts are anchored in Christ, it transforms the way we interact with others. Let’s be honest: when life gets tough, our frustrations often spill out onto the people around us. We snap, we argue, or we let our stress dictate our tone. Yet Paul’s next instruction is striking: “Let your reasonableness be known to everyone. The Lord is at hand” (Philippians 4:5).
That word “reasonableness” might sound a little abstract, but the Greek word Paul uses, epieikēs, paints a clear picture. It's not about your ability to reason. It’s about gentleness, graciousness, and a willingness to yield for the sake of peace and reconciliation. It’s the kind of attitude that says, “I’m not going to insist on my way if it costs us harmony.” It’s the opposite of harshness or stubbornness.
Think about what Paul is asking here. He’s not just saying, “Be nice.” He’s calling us to live in a way that reflects God’s nearness. “The Lord is at hand,” he says. That’s the foundation. When we remember that God is near—both in His presence and in His eventual return—it changes how we see every interaction. The little arguments and frustrations don’t seem so important when we’re mindful of God’s eternal purposes.
Let me give you a picture. Imagine a parent helping a child with homework. The child is frustrated, maybe even acting out, but the parent stays calm, guiding them gently and patiently. Why? Because the parent’s goal isn’t just to finish the homework—it’s to nurture the relationship. That’s what gentleness looks like in our relationships. It’s a choice to prioritize people over pride, harmony over being right.
So, how do we practice this kind of gentleness? Start small. The next time someone frustrates you, pause. Take a breath. Remind yourself, “The Lord is at hand.” Let His presence guide your response. Maybe it’s choosing not to snap back at a rude comment. Maybe it’s listening when you’d rather argue. Whatever it looks like, let your gentleness be a testimony to the God who is near.
If you don't have peace in your life, consider your attitude toward others. What do your relationships reveal about your faith? Do they show a gentle heart anchored in Christ, or do they reflect a harshness, bitterness, and selfishness like those who live in dark? Those who live in the dark and conduct themselves this way have no peace. This week, let’s make it our goal to show gentleness to everyone we meet. Because when we remember that the Lord is at hand, it changes everything and it brings us peace.
Replace Anxiety with Trust Through Prayer
Philippians 4:6–7 (ESV) — 6 do not be anxious about anything, but in everything by prayer and supplication with thanksgiving let your requests be made known to God. 7 And the peace of God, which surpasses all understanding, will guard your hearts and your minds in Christ Jesus.
Now let’s talk about something that robs many of us of peace—anxiety. We all feel it, don’t we? The racing thoughts, the restless nights, the constant undercurrent of worry about what might happen. It’s exhausting, isn’t it? But Paul gives us a better way. He writes, “Do not be anxious about anything, but in everything by prayer and supplication with thanksgiving let your requests be made known to God” (Philippians 4:6).
Unrelated to this text: materials data:
/*
Model w:
This record from Alexandria describes a geometry-optimized ReSb2SeI structure. The functional is PBE.

Computed properties:
Spin magnetization ... 0.000 μB/atom
Space-group type ... No. 123

Lattice parameters (Å, degrees): 5.168 5.168 5.380 90.00 90.00 90.00
Atoms (fractional coordinates):
Re 0.000 0.000 0.000
Sb 0.000 0.500 0.000
Sb 0.500 0.000 0.000
Se 0.500 0.500 0.500
I 0.000 0.000 0.500

Model x:
This record from Alexandria describes a geometry-optimized ReSb2SeI structure. The functional is PBE.

Computed properties:
Spin magnetization ... 0.660 μB/atom
Space-group type ... No. 123

Lattice parameters (Å, degrees): 5.408 5.408 5.623 90.00 90.00 90.00
Atoms (fractional coordinates):
Re 0.000 0.000 0.000
Sb 0.000 0.500 0.500
Sb 0.500 0.000 0.500
Se 0.500 0.500 0.500
I 0.500 0.500 0.000

Bottom line: model w, by a margin of 0.937 eV/atom.

Model w:
This record from Alexandria describes a geometry-optimized ReSiSb2I structure. The functional is PBE.

Computed properties:
Spin magnetization ... 0.000 μB/atom
Space-group type ... No. 123

Lattice parameters (Å, degrees): 5.066 5.066 5.827 90.00 90.00 90.00
Atoms (fractional coordinates):
Re 0.000 0.000 0.000
Si 0.500 0.500 0.500
Sb 0.000 0.500 0.000
Sb 0.500 0.000 0.000
I 0.000 0.000 0.500

Model x:
This record from Alexandria describes a geometry-optimized ReSiSb2I structure. The functional is PBE.

Computed properties:
Spin magnetization ... 0.683 μB/atom
Space-group type ... No. 123

Lattice parameters (Å, degrees): 5.220 5.220 5.243 90.00 90.00 90.00
Atoms (fractional coordinates):
Re 0.000 0.000 0.000
Si 0.500 0.500 0.500
Sb 0.000 0.500 0.500
Sb 0.500 0.000 0.500
I 0.500 0.500 0.000

Bottom line: model w, by a margin of 0.512 eV/atom.

Model w:
This record from Alexandria describes a geometry-optimized ReSbTeI2 structure. The functional is PBE.

Computed properties:
Spin magnetization ... 0.109 μB/atom
Space-group type ... No. 123

Lattice parameters (Å, degrees): 5.330 5.330 5.339 90.00 90.00 90.00
Atoms (fractional coordinates):
Re 0.000 0.000 0.000
Sb 0.000 0.000 0.500
Te 0.500 0.500 0.500
I 0.000 0.500 0.000
I 0.500 0.000 0.000

Model x:
This record from Alexandria describes a geometry-optimized ReSbTeI2 structure. The functional is PBE.

Computed properties:
Spin magnetization ... 0.967 μB/atom
Space-group type ... No. 123

Lattice parameters (Å, degrees): 5.944 5.944 6.001 90.00 90.00 90.00
Atoms (fractional coordinates):
Re 0.000 0.000 0.000
Sb 0.500 0.500 0.000
Te 0.500 0.500 0.500
I 0.000 0.500 0.500
I 0.500 0.000 0.500

Model y:
This record from Alexandria describes a geometry-optimized ReSbTeI2 structure. The functional is PBE.

Computed properties:
Spin magnetization ... 0.000 μB/atom
Space-group type ... No. 123

Lattice parameters (Å, degrees): 5.430 5.430 5.178 90.00 90.00 90.00
Atoms (fractional coordinates):
Re 0.000 0.000 0.000
Sb 0.500 0.500 0.500
Te 0.000 0.000 0.500
I 0.000 0.500 0.000
I 0.500 0.000 0.000

Bottom line: model w, by a margin of 0.045 eV/atom.
*/
Back to the text:
Notice Paul’s words: “Do not be anxious about anything.” He’s not saying, “Try really hard not to worry.” He’s giving us a practical alternative to anxiety—prayer. Instead of letting our minds spiral into worry, Paul invites us to bring everything to God. Not just the big things, but everything. The small worries, the daily stresses, the things we feel silly for fretting over. He says, “Let your requests be made known to God.”
But there’s something else Paul includes here: thanksgiving. Why thanksgiving? Because it shifts our focus. When we thank God in the midst of our prayers, we’re reminded of His faithfulness. We start to see not just the problem in front of us, but the countless ways God has provided for us in the past. Thanksgiving builds trust. And trust is the antidote to anxiety.
Let me give you a picture. Imagine you’re stranded on the side of the road with a flat tire. You’re overwhelmed and unsure what to do. Then a kind stranger pulls over—someone clearly experienced and prepared to help. They fix the tire with ease while you step back in relief. Prayer is like that. It’s stepping aside and letting God take over what you can’t handle.
Consider how children live their lives. They’re not burdened by the things we adults often worry about. They don’t lose sleep over mortgages or health insurance. Why? Because they know someone else—their parents—is taking care of it. They trust, often without even thinking about it, that their needs will be met. That’s the kind of dependence God invites us into. He’s asking us to let go of our anxieties and trust Him to provide, just as children trust their parents.
So how do we replace anxiety with trust? Start by identifying what’s worrying you. Name it. Then, bring it to God in prayer. Be honest about what you’re feeling, and thank Him for the ways He’s already working in your life. Finally, leave it with Him. Trust that the same God who’s been faithful before will be faithful again.
Let me ask you: What are you holding onto that you need to hand over to God? What’s weighing you down that you need to surrender in prayer? Because here’s the promise: when we let go of anxiety and turn to God, “the peace of God, which surpasses all understanding, will guard your hearts and your minds in Christ Jesus” (Philippians 4:7). That’s the kind of peace that changes everything.
Transform Your Mindset
Philippians 4:8 (ESV) — 8 Finally, brothers, whatever is true, whatever is honorable, whatever is just, whatever is pure, whatever is lovely, whatever is commendable, if there is any excellence, if there is anything worthy of praise, think about these things.
== What comes next are materials data, not part of the text ==
Density functional theory data (GGA-PBE) for an optimized crystal structure of CaZrPtC2.

```
CaZrPtC2
1.0
4.2754 0.0000 0.0000
0.0000 4.9991 0.0000
0.0000 0.0000 4.2754
C Zr Ca Pt
2 1 1 1
Direct
0.0000 0.0000 0.5000 C
0.5000 0.0000 0.0000 C
0.5000 0.5000 0.5000 Zr
0.0000 0.0000 0.0000 Ca
0.0000 0.5000 0.0000 Pt
```

raw total energy	-4.969	eV per atom
ΔE_f	2039	meV per atom


Density functional theory data (GGA-PBE) for an optimized crystal structure of Pr7Cd2In2.

```
Pr7Cd2In2
1.0
-4.5308 -4.3105 -2.9991
0.9576 -5.4369 6.3725
-3.2495 4.4104 4.2536
Pr Cd In
7 2 2
Direct
0.4998 0.2570 0.5002 Pr
0.0002 0.7085 0.4997 Pr
0.4997 0.2915 0.0002 Pr
0.5002 0.7430 0.4998 Pr
0.9998 0.2915 0.5003 Pr
0.5003 0.7085 0.9998 Pr
0.0000 0.0000 0.0000 Pr
0.7119 0.0000 0.2881 Cd
0.2881 0.0000 0.7119 Cd
0.1793 0.5000 0.1793 In
0.8207 0.5000 0.8207 In
```

raw total energy	-3.736	eV per atom
ΔE_f	-30	meV per atom


Density functional theory data (GGA-PBE) for an optimized crystal structure of Rb2TlS3.

```
Rb2TlS3
1.0
6.8408 0.0000 0.0000
0.0000 8.3183 0.9335
0.0000 -3.2614 7.7090
Rb S Tl
4 6 2
Direct
0.4965 0.4898 0.8143 Rb
0.4965 0.8143 0.4898 Rb
0.9965 0.1857 0.5102 Rb
0.9965 0.5102 0.1857 Rb
0.4888 0.4435 0.1998 S
0.9888 0.5565 0.8002 S
0.9888 0.8002 0.5565 S
0.4888 0.1998 0.4435 S
0.9334 0.1038 0.1038 S
0.4334 0.8962 0.8962 S
0.5540 0.1306 0.1306 Tl
0.0540 0.8694 0.8694 Tl
```

raw total energy	-3.311	eV per atom
raw formation energy	-3.18	eV per formula unit


Density functional theory data (GGA-PBE) for an optimized crystal structure of PaInC.

```
PaInC
1.0
-3.7769 0.8276 -1.1904
0.7444 -1.7433 -3.5739
-2.5041 -7.1270 2.9661
In Pa C
2 2 2
Direct
0.7502 0.2497 0.0927 In
0.2498 0.7503 0.9073 In
0.2502 0.7497 0.3657 Pa
0.7498 0.2503 0.6343 Pa
0.2500 0.2500 0.5000 C
0.7500 0.7500 0.5000 C
```

raw total energy	-7.327	eV per atom
ΔE_f	-175	meV per atom
polymorph energy (0 for the lowest one)	0.0	meV per atom


Density functional theory data (GGA-PBE) for an optimized crystal structure of UOs2W.

```
UOs2W
1.0
-2.0965 -1.9513 -0.8652
2.0008 -1.3740 -1.7494
1.8710 -4.5398 5.7053
Os W U
2 1 1
Direct
0.0000 0.0000 0.2239 Os
0.0000 0.0000 0.7761 Os
0.5000 0.5000 0.0000 W
0.5000 0.5000 0.5000 U
```

raw total energy	-11.679	eV per atom
ΔE_f	-4	meV per atom
polymorph energy (0 for the lowest one)	0.0	meV per atom


Density functional theory data (GGA-PBE) for an optimized crystal structure of Ge2Bi2Pt.

```
Ge2Bi2Pt
1.0
-4.3958 3.1247 3.6621
-2.2711 -5.7186 2.1533
3.5944 0.1492 4.1872
Ge Bi Pt
4 4 2
Direct
0.6392 0.1392 0.0000 Ge
0.3608 0.8608 0.0000 Ge
0.1392 0.3608 0.0000 Ge
0.8608 0.6392 0.0000 Ge
0.3129 0.1871 0.5000 Bi
0.1871 0.6871 0.5000 Bi
0.6871 0.8129 0.5000 Bi
0.8129 0.3129 0.5000 Bi
0.5000 0.5000 0.0000 Pt
0.0000 0.0000 0.0000 Pt
```

raw total energy	-4.585	eV per atom
ΔE_f	22	meV per atom


Density functional theory data (GGA-PBE) for an optimized crystal structure of Nd3PuF.

```
Nd3PuF
1.0
5.1408 0.0000 0.0000
0.0000 5.1408 0.0000
0.0000 0.0000 5.1408
The final step on the path to peace is found in verse 8: “Finally, brothers, whatever is true, whatever is honorable, whatever is just, whatever is pure, whatever is lovely, whatever is commendable, if there is any excellence, if there is anything worthy of praise, think about these things.”
Here’s the truth: what you focus on shapes your life. Paul is calling us to a mindset shift. Instead of letting our thoughts dwell on negativity, fear, or distractions, he’s urging us to focus intentionally on what is good and godly. This is about being proactive, not passive, in how we manage our minds.
Paul’s list in Philippians 4:8 directs us to focus on what reflects God’s character and aligns with His will. To think about what is true means grounding your thoughts in God’s Word and rejecting lies or distortions that pull you away from Him. What is honorable calls us to dwell on things that are noble and worthy of respect—qualities that inspire reverence rather than triviality. When Paul speaks of what is just, he is pointing us toward fairness, righteousness, and actions that align with God’s justice. To think about what is pure is to avoid corruption and instead fix your mind on holiness and moral integrity.
What is lovely refers to things that inspire love and admiration, like acts of kindness or the beauty of God’s creation. When Paul mentions what is commendable, he’s calling us to think on things that are well-spoken of—positive, uplifting, and virtuous. The emphasis on excellence and what is worthy of praise encourages us to consider what is of higher quality and value, rather than being content with something base or lacking in value. Paul is not just giving a checklist but painting a picture of a thought life that reflects the goodness and glory of God. By focusing on these things, we are training our minds to find peace in God’s truth and to reject the chaos of the world. He wants us to be so focused on these good things that the anxieties have no place in our lives.
Think about how a garden works. If you leave it untended, weeds will overtake it. But if you cultivate it, planting good seeds and removing the weeds, it will thrive. Your mind is the same way. If you let it run on autopilot, it will fill with whatever the world throws at it—worry, doubt, anger. But if you choose to dwell on what is true and good, it will transform the way you see the world and experience peace.
So what does this look like practically? It means being intentional about what you consume and reflect on. Throughout your day, think about what you’re allowing into your mind. Are the books you’re reading, the shows you’re watching, and the conversations you’re having leading you closer to God or pulling you further into worry, doubt, or negativity? Take inventory of your thoughts when challenges arise. Instead of letting them spiral, actively direct them toward what is good. For example, if you’re feeling overwhelmed, remind yourself of a Scripture that speaks to God’s faithfulness. When tempted to dwell on an offense, choose instead to focus on how you’ve experienced God’s forgiveness. Taking every thought captive, pausing and intentionally replacing the lies and fears with truths from God’s Word. By doing this, you’re training your mind to seek out and stay grounded in God’s peace. When you catch yourself spiraling into fear or self-criticism, stop and ask: 1. How much of this is actually true? and 2. What does God say about this?
If you do not have peace, and you are struggling to maintain peace in your life, you should ask yourself, "What do I habitually think about?" We have to burn new neural pathways in our minds.
Here’s the challenge: This week, intentionally choose one thing each day to reflect on that draws your heart closer to God. Maybe it’s a Scripture, a song of praise, or an act of kindness you’ve seen or done. Let your mind dwell there. Because when your mind is transformed by God’s truth, His peace follows. And that’s a peace the world can’t take away.
Put It All Into Practice
Philippians 4:9 (ESV) — 9 What you have learned and received and heard and seen in me—practice these things, and the God of peace will be with you.
Paul concludes this section with a call to action: “What you have learned and received and heard and seen in me—practice these things, and the God of peace will be with you” (Philippians 4:9). The focus here is clear—don’t just think about these principles, live them out. True peace comes not only from knowing God’s truth but from putting it into practice daily.
The word “practice” implies intentionality and repetition. It’s not about getting it perfect the first time; it’s about committing to a process of growth. Think of it like learning a new skill. A musician doesn’t master an instrument overnight. They practice, day after day, until their hands instinctively know the movements. In the same way, we need to train our hearts and minds to live out what Paul teaches in this passage.
But what exactly does Paul mean when he says, “What you have learned and received and heard and seen in me”? He’s pointing to the example he set for the Philippians—a life rooted in joy, gentleness, prayer, and a transformed mindset. Paul isn’t calling us to perfection; he’s calling us to faithfulness. He wants us to take what we know about God and His promises and let it shape every part of our lives.
Paul is encouraging us to not just be hearers. Christianity is not a spectator sport. It's not a passive relationship. We aren't supposed to sit back watch others struggle against the desires of the flesh and the worldly thoughts while we give in on a regular basis. This is a spiritual battle we are supposed to be actively engaged in. Throughout the Bible, those who failed to hear and do what was taught were condemned. We must repent. We must be transformed. We must have a life rooted in the joy found in Christ. We must be gentle and lowly in our relationships like Christ. We must overcome the anxious ways of the world with prayer. We must flood our minds with good, honorable, and righteous thoughts. We must be the lights he has saved us to be.
So, what does practicing these things look like? It means making a conscious effort to rejoice in the Lord even when life is hard. It means choosing gentleness in your relationships, trusting God in prayer, and intentionally fixing your mind on what is good and true. And when you fail, it means getting back up and trying again, trusting that God’s grace is sufficient.
At the end we have a wonderful promise: When you practice these things, “the God of peace will be with you.” This isn’t just a fleeting sense of calm—it’s the presence of God Himself, walking with you through every joy and challenge. His peace isn’t something you find; it’s something He gives when you align your life with His truth.
What’s one step you can take today to practice these principles? Maybe it’s choosing gratitude instead of complaint. Maybe it’s showing kindness to someone who frustrates you. Maybe it’s taking time to pray over a worry instead of dwelling on it. Whatever it is, take that step and trust that the God of peace will meet you there.
Do you have the peace that comes by being a part of Christ's church, the group of saved people? In order to receive that peace, you must repent of the old ways and pledge to him your life. Then, upon receiving forgiveness of sins in baptism, you must fulfill your pledge.